Exercise
It remains to copy only the last part of the block further down, starting with the line that has "Å⁻¹".

Data
<<<
No. 1
DFT (wB97M-V/def2-TZVPD) results for the ion C22H26BrN4O with charge +1 in a non-equilibrium geometry.

```
54
Properties=species:S:1:pos:R:3
H -1.50101 2.19751 -3.61064
C 2.21916 -1.54012 4.81979
H 2.19836 1.36112 -5.48531
H -4.11971 1.31267 2.91134
C -1.21969 1.33006 2.13256
C 0.29004 -0.56478 -0.60426
H 1.96467 -0.75621 2.88942
N 0.01008 1.43696 0.00720
C -0.54026 0.68806 0.94678
H 1.77363 -1.74089 -1.61740
H 2.39049 -2.51864 6.73185
H 0.43415 -2.69666 -1.00368
C 0.91338 -2.63398 3.12506
H -1.29262 -1.45316 2.36130
N -0.03705 0.21465 -4.62971
H 0.03129 2.44744 0.04500
H -1.54226 -2.30127 0.83699
C -0.22040 3.86126 -3.92535
H 0.08355 -3.75639 1.50053
H -0.97466 -1.05135 -2.60497
O 1.96179 -0.63363 -3.74757
H -3.49479 0.11908 1.76306
C 0.75158 -0.62607 -3.75090
N 0.52330 0.64351 -0.96549
C 1.53130 2.09086 -5.02962
H -1.46003 0.56716 2.87499
C 0.97888 4.31852 -4.42528
C -0.53206 2.52281 -3.99016
H 2.87022 -0.73067 5.14327
H -0.00486 -4.45766 3.80945
C -2.52541 2.02050 1.59644
H -0.31124 -2.51392 -3.28411
C 0.63606 -3.61164 4.05978
C 1.70746 -1.58879 3.54699
C -0.02579 -1.56198 -2.82705
H -0.90329 4.60171 -3.51687
C 0.37308 -2.72364 1.71635
N -0.37568 -0.59752 0.63751
C -3.78352 1.17289 1.88046
H -0.57337 2.10990 2.54416
C 0.32984 1.60844 -4.54233
H 2.80059 3.80217 -5.37654
H 0.16778 -0.07634 -5.58475
C -0.80378 -1.75044 1.43310
H 1.19985 5.38122 -4.38460
C 1.96378 -2.53893 5.73483
Br -2.69796 3.86165 2.19128
H -4.56177 1.42345 1.15732
H -2.45371 2.05795 0.50513
H 1.20314 -2.48112 1.04137
C 1.86468 3.41802 -4.98102
H 0.95254 -4.35343 6.06715
C 0.68898 -1.73545 -1.45532
C 1.14126 -3.57489 5.33248
```

Results
Largest force on an atom   1.97 eV Å⁻¹
HOMO-LUMO gap   0.318 hartree
Charge   +1
HOMO energy   -11.51 eV
Total energy   -3721.9722 Ha
LUMO   -0.105 Eh
SMILES string   C[C@@H](Br)Cc1[nH]nc(CCC(=O)Nc2ccccc2)[n+]1CCc1ccccc1

No. 2
DFT (wB97M-V/def2-TZVPD) results for a structure of composition C51H40AsCuN6O.

```
100
Properties=species:S:1:pos:R:3
C 1.00788 -0.98239 -5.54634
C -0.85945 4.15157 3.29157
N 0.13617 2.74755 1.12944
C -2.94362 3.98467 -0.46445
C 3.14454 -2.75697 -5.42806
C -1.77294 -0.49605 -1.35020
C -0.99137 -1.58841 -3.12461
C 1.92788 1.77361 2.43137
H -2.62374 -3.87070 1.93298
C -5.58101 0.51000 2.31116
H 3.97062 -3.45325 -5.38840
C 0.26570 3.36033 3.43031
C 2.14238 0.52619 -2.63639
H 3.79089 -1.74226 0.56696
C -2.78443 3.54695 -2.79913
C -0.66436 2.60693 -3.74297
C -2.11406 -1.43726 -2.34454
H 0.74963 3.27892 4.38928
H 2.49412 -2.05980 5.30644
H -6.23108 -1.31666 1.39720
H -3.06509 -1.92842 -2.45644
C -0.56723 -0.96143 6.24881
C -1.18588 -0.92338 5.00661
H 0.17717 -0.29018 -5.58520
N 2.18237 0.98265 1.38514
C 0.75594 -1.36224 6.35436
C -3.52277 3.99113 -1.72494
C -0.96203 3.49461 0.99348
H 2.89718 2.90803 -0.62712
C -1.41908 -5.06208 0.62817
Cu 0.54083 0.98830 -0.18018
H 4.42382 0.83698 4.49575
C -3.03739 -0.58733 2.22696
H -2.37160 1.28110 3.06855
C -0.26313 -5.12816 -0.13509
H -1.24616 4.70864 4.13339
H -4.53714 4.34267 -1.85565
H 1.48851 -4.08705 -0.80881
N -0.93629 3.06659 -1.37334
C 3.19699 0.12126 1.43079
C 3.80361 2.03119 -2.47901
H -2.07371 -5.92015 0.69538
C 2.88082 -3.24499 -7.81667
H 0.89188 -1.49619 -7.62595
C 0.73604 2.66863 2.32135
H 4.68215 2.62931 -2.64547
C 0.58656 -4.03383 -0.21362
C -4.11680 -1.30880 1.73388
H 2.56740 -0.86265 -0.37488
C 3.78917 0.87070 3.62126
H 0.34728 2.38281 -3.42437
C 1.26139 -0.44075 -3.12398
C 1.67824 -1.18372 -4.34188
C 2.72484 1.75603 3.56696
H -0.63197 3.36949 -4.52224
C 1.46601 -1.73561 5.22062
C -0.47123 -1.29059 3.87352
C 3.45494 -0.75767 0.24352
As -1.20408 -1.13086 2.10860
C 0.27242 -2.86638 0.46147
C -1.48296 4.21879 2.06337
C -5.38994 -0.75671 1.78162
H 4.23803 -0.32451 -0.38185
H 2.54146 2.42036 4.39521
C -3.22489 0.69872 2.73455
C 4.02425 0.03791 2.54832
H -3.52213 4.31011 0.38622
H -3.97844 -2.28685 1.29411
H 1.40925 -1.99620 3.09439
C -4.49825 1.24076 2.78257
H -1.11548 1.71127 -4.17514
C 2.47310 -2.54657 -6.62850
C -0.00393 -0.71108 -2.59939
>>>

Done
Largest force on an atom   1.97 eV Å⁻¹
HOMO-LUMO gap   0.318 hartree
Charge   +1
HOMO energy   -11.51 eV
Total energy   -3721.9722 Ha
LUMO   -0.105 Eh
SMILES string   C[C@@H](Br)Cc1[nH]nc(CCC(=O)Nc2ccccc2)[n+]1CCc1ccccc1

No. 2
DFT (wB97M-V/def2-TZVPD) results for a structure of composition C51H40AsCuN6O.

```
100
Properties=species:S:1:pos:R:3
C 1.00788 -0.98239 -5.54634
C -0.85945 4.15157 3.29157
N 0.13617 2.74755 1.12944
C -2.94362 3.98467 -0.46445
C 3.14454 -2.75697 -5.42806
C -1.77294 -0.49605 -1.35020
C -0.99137 -1.58841 -3.12461
C 1.92788 1.77361 2.43137
H -2.62374 -3.87070 1.93298
C -5.58101 0.51000 2.31116
H 3.97062 -3.45325 -5.38840
C 0.26570 3.36033 3.43031
C 2.14238 0.52619 -2.63639
H 3.79089 -1.74226 0.56696
C -2.78443 3.54695 -2.79913
C -0.66436 2.60693 -3.74297
C -2.11406 -1.43726 -2.34454
H 0.74963 3.27892 4.38928
H 2.49412 -2.05980 5.30644
H -6.23108 -1.31666 1.39720
H -3.06509 -1.92842 -2.45644
C -0.56723 -0.96143 6.24881
C -1.18588 -0.92338 5.00661
H 0.17717 -0.29018 -5.58520
N 2.18237 0.98265 1.38514
C 0.75594 -1.36224 6.35436
C -3.52277 3.99113 -1.72494
C -0.96203 3.49461 0.99348
H 2.89718 2.90803 -0.62712
C -1.41908 -5.06208 0.62817
Cu 0.54083 0.98830 -0.18018
H 4.42382 0.83698 4.49575
C -3.03739 -0.58733 2.22696
H -2.37160 1.28110 3.06855
C -0.26313 -5.12816 -0.13509
H -1.24616 4.70864 4.13339
H -4.53714 4.34267 -1.85565
H 1.48851 -4.08705 -0.80881
N -0.93629 3.06659 -1.37334
C 3.19699 0.12126 1.43079
C 3.80361 2.03119 -2.47901
H -2.07371 -5.92015 0.69538
C 2.88082 -3.24499 -7.81667
H 0.89188 -1.49619 -7.62595
C 0.73604 2.66863 2.32135
H 4.68215 2.62931 -2.64547
C 0.58656 -4.03383 -0.21362
C -4.11680 -1.30880 1.73388
H 2.56740 -0.86265 -0.37488
C 3.78917 0.87070 3.62126
H 0.34728 2.38281 -3.42437
C 1.26139 -0.44075 -3.12398
C 1.67824 -1.18372 -4.34188
C 2.72484 1.75603 3.56696
H -0.63197 3.36949 -4.52224
C 1.46601 -1.73561 5.22062
C -0.47123 -1.29059 3.87352
C 3.45494 -0.75767 0.24352
As -1.20408 -1.13086 2.10860
C 0.27242 -2.86638 0.46147
C -1.48296 4.21879 2.06337
C -5.38994 -0.75671 1.78162
H 4.23803 -0.32451 -0.38185
H 2.54146 2.42036 4.39521
C -3.22489 0.69872 2.73455
C 4.02425 0.03791 2.54832
H -3.52213 4.31011 0.38622
H -3.97844 -2.28685 1.29411
H 1.40925 -1.99620 3.09439
C -4.49825 1.24076 2.78257
H -1.11548 1.71127 -4.17514
C 2.47310 -2.54657 -6.62850
C -0.00393 -0.71108 -2.59939